# Brief
Next, retype all of the notes underneath character by character.

# Material
Entry 1:
The following is a PBE calculation of a relaxed Th2N2O crystal, from the Alexandria database.

The structure belongs to space group P-3m1 (No. 164); the cell edges are 3.9533, 3.9533 and 5.9891 Å and the angles 90.00°, 90.00° and 120.00°. The distinct sites, in fractional coordinates, are Th at (0.3333, 0.6667, 0.2531), N at (0.3333, 0.6667, 0.6512) and O at (0.0000, 0.0000, 0.0000).

Its density of states at the Fermi level is 0.000 states/eV per atom. As for the raw formation energy: -2.28 eV per atom. The calculation puts the magnetic moment at 0.000 μB per atom. The theoretical density comes out at 10.41 g cm⁻³.

Entry 2:
The following is a PBE calculation of a relaxed SrMgTa2 crystal, from the Alexandria database.

The structure belongs to space group P4mm (No. 99); the cell edges are 3.549, 3.549 and 8.064 Å and the angles 90.00°, 90.00° and 90.00°. The distinct sites, in fractional coordinates, are Sr at (0.000, 0.000, 0.000), Mg at (0.500, 0.500, 0.665), Ta at (0.000, 0.000, 0.441) and Ta at (0.500, 0.500, 0.302).

Its density of states at the Fermi level is 1.034 states/eV per atom. The calculation puts the magnetic moment at 0.000 μB per atom. The value obtained for the formation energy is 9.333 kcal/mol of atoms. The theoretical density comes out at 7.75 g cm⁻³.

Entry 3:
The following is a PBE calculation of a relaxed HoErSc2Tl4 crystal, from the Alexandria database.

The structure belongs to space group R-3m (No. 166, hexagonal axes); the cell edges are 5.2225, 5.2225 and 25.6172 Å and the angles 90.00°, 90.00° and 120.00°. The distinct sites, in fractional coordinates, are Ho at (0.0000, 0.0000, 0.0000), Er at (0.0000, 0.0000, 0.5000), Sc at (0.0000, 0.0000, 0.2499), Tl at (0.0000, 0.0000, 0.1252) and Tl at (0.0000, 0.0000, 0.3752).

Its density of states at the Fermi level is 0.886 states/eV per atom. The calculation puts the magnetic moment at 0.000 μB per atom. The value obtained for the formation energy is -6.451 kcal/mol of atoms. The theoretical density comes out at 10.21 g cm⁻³.

Entry 4:
The following is a PBE calculation of a relaxed Cs2In2Bi crystal, from the Alexandria database.

The structure belongs to space group C2/c (No. 15); the cell edges are 13.330, 8.403 and 8.653 Å and the angles 90.00°, 109.89° and 90.00°. The distinct sites, in fractional coordinates, are Cs at (0.178, 0.060, 0.151), In at (0.075, 0.367, 0.435) and Bi at (0.000, 0.309, 0.750).

The polymorph energy (0 for the lowest one) comes out at 0.000 eV/atom. Its density of states at the Fermi level is 0.656 states/eV per atom. The calculation puts the magnetic moment at 0.000 μB per atom. The value obtained for the formation energy is -4.719 kcal/mol of atoms. The theoretical density comes out at 5.13 g cm⁻³.

~~~~~

CoNi2SeO6 | the Alexandria database | PBE with a Hubbard U | optimized geometry; magnetization = 7.16 μB per cell; E = -4.875 eV/atom
1.0
4.632 0.000 0.000
0.000 5.392 0.000
0.000 0.000 5.392
Ni O Co Se
2 6 1 1
direct
0.887 0.500 0.000
0.887 0.000 0.500
0.745 0.753 0.753
0.269 0.000 0.000
0.745 0.247 0.753
0.216 0.500 0.500
0.745 0.753 0.247
0.745 0.247 0.247
0.581 0.500 0.500
0.626 0.000 0.000

~~~~~

First-principles (GGA-PBE) data for a relaxed DyHoZnCr crystal, as listed in the Alexandria database.

```
DyHoZnCr
1.0
0.000 3.557 3.557
3.557 0.000 3.557
3.557 3.557 0.000
Dy Ho Zn Cr
1 1 1 1
Direct
0.000 0.000 0.000
0.500 0.500 0.500
0.750 0.750 0.750
0.250 0.250 0.250
```

Results
Its space group is F-43m. The energy of formation from the pure elements comes out at 5.4 meV per atom. The volume comes out at 22.500 Å³/atom. For the density of states at the Fermi level, the calculation gives 0.3919 states/eV/atom.

~~~~~

GGA-PBE CrSbOs2, relaxed; final energy = -34.19 eV/f.u.; raw formation energy = 2.01 eV per formula unit; symmetry = P4mm, No. 99; V = 15.42 A^3/atom; M_tot = 0.221 μB/atom; crystal system = tetragonal
1.0
2.9309 0.0000 0.0000
0.0000 2.9309 0.0000
0.0000 0.0000 7.1805
Cr Sb Os
1 1 2
direct

# Reply
Entry 1:
The following is a PBE calculation of a relaxed Th2N2O crystal, from the Alexandria database.

The structure belongs to space group P-3m1 (No. 164); the cell edges are 3.9533, 3.9533 and 5.9891 Å and the angles 90.00°, 90.00° and 120.00°. The distinct sites, in fractional coordinates, are Th at (0.3333, 0.6667, 0.2531), N at (0.3333, 0.6667, 0.6512) and O at (0.0000, 0.0000, 0.0000).

Its density of states at the Fermi level is 0.000 states/eV per atom. As for the raw formation energy: -2.28 eV per atom. The calculation puts the magnetic moment at 0.000 μB per atom. The theoretical density comes out at 10.41 g cm⁻³.

Entry 2:
The following is a PBE calculation of a relaxed SrMgTa2 crystal, from the Alexandria database.

The structure belongs to space group P4mm (No. 99); the cell edges are 3.549, 3.549 and 8.064 Å and the angles 90.00°, 90.00° and 90.00°. The distinct sites, in fractional coordinates, are Sr at (0.000, 0.000, 0.000), Mg at (0.500, 0.500, 0.665), Ta at (0.000, 0.000, 0.441) and Ta at (0.500, 0.500, 0.302).

Its density of states at the Fermi level is 1.034 states/eV per atom. The calculation puts the magnetic moment at 0.000 μB per atom. The value obtained for the formation energy is 9.333 kcal/mol of atoms. The theoretical density comes out at 7.75 g cm⁻³.

Entry 3:
The following is a PBE calculation of a relaxed HoErSc2Tl4 crystal, from the Alexandria database.

The structure belongs to space group R-3m (No. 166, hexagonal axes); the cell edges are 5.2225, 5.2225 and 25.6172 Å and the angles 90.00°, 90.00° and 120.00°. The distinct sites, in fractional coordinates, are Ho at (0.0000, 0.0000, 0.0000), Er at (0.0000, 0.0000, 0.5000), Sc at (0.0000, 0.0000, 0.2499), Tl at (0.0000, 0.0000, 0.1252) and Tl at (0.0000, 0.0000, 0.3752).

Its density of states at the Fermi level is 0.886 states/eV per atom. The calculation puts the magnetic moment at 0.000 μB per atom. The value obtained for the formation energy is -6.451 kcal/mol of atoms. The theoretical density comes out at 10.21 g cm⁻³.

Entry 4:
The following is a PBE calculation of a relaxed Cs2In2Bi crystal, from the Alexandria database.

The structure belongs to space group C2/c (No. 15); the cell edges are 13.330, 8.403 and 8.653 Å and the angles 90.00°, 109.89° and 90.00°. The distinct sites, in fractional coordinates, are Cs at (0.178, 0.060, 0.151), In at (0.075, 0.367, 0.435) and Bi at (0.000, 0.309, 0.750).

The polymorph energy (0 for the lowest one) comes out at 0.000 eV/atom. Its density of states at the Fermi level is 0.656 states/eV per atom. The calculation puts the magnetic moment at 0.000 μB per atom. The value obtained for the formation energy is -4.719 kcal/mol of atoms. The theoretical density comes out at 5.13 g cm⁻³.

~~~~~

CoNi2SeO6 | the Alexandria database | PBE with a Hubbard U | optimized geometry; magnetization = 7.16 μB per cell; E = -4.875 eV/atom
1.0
4.632 0.000 0.000
0.000 5.392 0.000
0.000 0.000 5.392
Ni O Co Se
2 6 1 1
direct
0.887 0.500 0.000
0.887 0.000 0.500
0.745 0.753 0.753
0.269 0.000 0.000
0.745 0.247 0.753
0.216 0.500 0.500
0.745 0.753 0.247
0.745 0.247 0.247
0.581 0.500 0.500
0.626 0.000 0.000

~~~~~

First-principles (GGA-PBE) data for a relaxed DyHoZnCr crystal, as listed in the Alexandria database.

```
DyHoZnCr
1.0
0.000 3.557 3.557
3.557 0.000 3.557
3.557 3.557 0.000
Dy Ho Zn Cr
1 1 1 1
Direct
0.000 0.000 0.000
0.500 0.500 0.500
0.750 0.750 0.750
0.250 0.250 0.250
```

Results
Its space group is F-43m. The energy of formation from the pure elements comes out at 5.4 meV per atom. The volume comes out at 22.500 Å³/atom. For the density of states at the Fermi level, the calculation gives 0.3919 states/eV/atom.

~~~~~

GGA-PBE CrSbOs2, relaxed; final energy = -34.19 eV/f.u.; raw formation energy = 2.01 eV per formula unit; symmetry = P4mm, No. 99; V = 15.42 A^3/atom; M_tot = 0.221 μB/atom; crystal system = tetragonal
1.0
2.9309 0.0000 0.0000
0.0000 2.9309 0.0000
0.0000 0.0000 7.1805
Cr Sb Os
1 1 2
direct